Data:
____________
Ac3Ga3Cu: theoretical powder X-ray diffraction pattern (Cu Ka), based on a PBE-relaxed structure.

Peak list (12 most intense, 2θ = 10–90°, low angle first)
| hkl | d (Å) | I_rel |
| --- | --- | --- |
| 1 1 -1 | 4.250 | 17.0 |
| 2 0 -4 | 3.677 | 29.8 |
| 1 1 -3 | 3.439 | 25.0 |
| 1 1 3 | 3.011 | 80.0 |
| 3 1 -1 | 2.975 | 100.0 |
| 4 0 -2 | 2.929 | 32.6 |
| 0 0 6 | 2.429 | 21.4 |
| 3 1 -5 | 2.395 | 27.2 |
| 0 2 0 | 2.310 | 37.0 |
| 2 2 -4 | 1.956 | 20.1 |
| 4 2 -2 | 1.815 | 29.4 |
| 7 1 -3 | 1.574 | 21.9 |

Structure:
Unit cell a=11.7252 b=4.6207 c=15.5272 alpha=90.00 beta=110.15 gamma=90.00
Space group C2/m (No. 12)
Asymmetric unit:
Ac1 0.0438 0.0000 0.2720 (multiplicity 4)
Ac2 0.1796 0.0000 0.5773 (multiplicity 4)
Ac3 0.1888 0.5000 0.1055 (multiplicity 4)
Ga1 0.0303 0.5000 0.4243 (multiplicity 4)
Ga2 0.0630 0.0000 0.9474 (multiplicity 4)
Ga3 0.1649 0.5000 0.7312 (multiplicity 4)
Cu1 0.0950 0.5000 0.8771 (multiplicity 4)

---

Ac2Ga6Cu3: theoretical powder X-ray diffraction pattern (Cu Ka), based on a PBE-relaxed structure.

Peak list (12 most intense, 2θ = 10–90°, low angle first)
| hkl | d (Å) | I_rel |
| --- | --- | --- |
| 1 1 0 | 3.939 | 14.8 |
| 2 0 0 | 3.411 | 11.2 |
| 1 1 1 | 2.869 | 100.0 |
| 2 0 1 | 2.645 | 12.4 |
| 2 1 0 | 2.579 | 18.8 |
| 3 0 0 | 2.274 | 36.9 |
| 2 1 1 | 2.196 | 33.2 |
| 0 0 2 | 2.094 | 18.8 |
| 2 2 1 | 1.783 | 21.8 |
| 2 1 2 | 1.626 | 9.4 |
| 3 0 2 | 1.541 | 21.6 |
| 4 1 1 | 1.403 | 32.7 |

Structure:
Unit cell a=7.8780 b=7.8780 c=4.1884 alpha=90.00 beta=90.00 gamma=120.00
Space group P-62m (No. 189)
Asymmetric unit:
Ac1 0.3333 0.6667 0.0000 (multiplicity 2)
Ga1 0.0000 0.3089 0.5000 (multiplicity 3)
Ga2 0.0000 0.8099 0.0000 (multiplicity 3)
Cu1 0.0000 0.6422 0.5000 (multiplicity 3)

---

AcGaCu: theoretical powder X-ray diffraction pattern (Cu Ka), based on a PBE-relaxed structure.

Peak list (12 most intense, 2θ = 10–90°, low angle first)
| hkl | d (Å) | I_rel |
| --- | --- | --- |
| 0 2 0 | 3.888 | 14.4 |
| 1 1 0 | 3.803 | 25.9 |
| 0 2 2 | 2.911 | 50.3 |
| 1 1 2 | 2.875 | 100.0 |
| 1 3 0 | 2.228 | 38.8 |
| 0 0 4 | 2.197 | 17.1 |
| 2 0 0 | 2.180 | 18.2 |
| 2 2 0 | 1.902 | 11.0 |
| 0 4 2 | 1.778 | 12.7 |
| 2 2 2 | 1.745 | 22.8 |
| 1 3 4 | 1.564 | 23.3 |
| 2 0 4 | 1.547 | 11.2 |

Structure:
Unit cell a=4.3599 b=7.7751 c=8.7863 alpha=90.00 beta=90.00 gamma=90.00
Space group Immm (No. 71)
Asymmetric unit:
Ac1 0.0000 0.0000 0.2349 (multiplicity 4)
Ga1 0.0000 0.3386 0.0000 (multiplicity 4)
Cu1 0.0000 0.3312 0.5000 (multiplicity 4)

----------

LuHgH: calculated powder diffractogram (Cu Ka), based on a DFT-relaxed cell (PBE, Alexandria).

Cell and atoms:
a = 6.8519 Å, b = 6.8519 Å, c = 6.8519 Å
α = 97.86°, β = 97.86°, γ = 97.86°
Atoms (fractional coordinates):
Lu 0.0947 0.6711 0.8379
Lu 0.1621 0.9053 0.3289
Lu 0.3289 0.1621 0.9053
Lu 0.6711 0.8379 0.0947
Lu 0.8379 0.0947 0.6711
Lu 0.9053 0.3289 0.1621
Hg 0.2087 0.3541 0.5427
Hg 0.3541 0.5427 0.2087
Hg 0.4573 0.7913 0.6459
Hg 0.5427 0.2087 0.3541
Hg 0.6459 0.4573 0.7913
Hg 0.7913 0.6459 0.4573
H 0.0470 0.2646 0.9110
H 0.0890 0.9530 0.7354
H 0.2646 0.9110 0.0470
H 0.7354 0.0890 0.9530
H 0.9110 0.0470 0.2646
H 0.9530 0.7354 0.0890

Top 8 peaks for 10° ≤ 2θ ≤ 80°, in order of falling intensity:
2theta	I/Imax
31.8	100.0
36.9	26.8
40.5	25.1
66.2	21.4
44.8	17.1
34.7	16.2
46.5	16.0
57.5	10.3

----------

Diffraction record for Ca2I4O13. The XRD peak list is theoretical, not measured: it uses a structure optimized by DFT (PBE) and a wavelength of 1.5418 Å.
Neutral-atom scattering factors, no anomalous dispersion.

Crystal structure
```
data_Ca2I4O13
_chemical_formula_sum 'Ca8 I16 O52'
_space_group_name_H-M_alt 'C 1 2/c 1'
_space_group_IT_number 15
_cell_length_a 12.9536
_cell_length_b 6.5425
_cell_length_c 16.9165
_cell_angle_alpha 90.00
_cell_angle_beta 104.57
_cell_angle_gamma 90.00
loop_
_space_group_symop_operation_xyz
'x,y,z'
'-x,-y,-z'
'-x,y,-z+1/2'
'x,-y,z+1/2'
'x+1/2,y+1/2,z'
'-x+1/2,-y+1/2,-z'
'-x+1/2,y+1/2,-z+1/2'
'x+1/2,-y+1/2,z+1/2'
loop_
____________

Activity:
Duplicate the lines further above from the first line to the one with "'-x,y,-z+1/2'" with every line break kept.

Result:
Ac3Ga3Cu: theoretical powder X-ray diffraction pattern (Cu Ka), based on a PBE-relaxed structure.

Peak list (12 most intense, 2θ = 10–90°, low angle first)
| hkl | d (Å) | I_rel |
| --- | --- | --- |
| 1 1 -1 | 4.250 | 17.0 |
| 2 0 -4 | 3.677 | 29.8 |
| 1 1 -3 | 3.439 | 25.0 |
| 1 1 3 | 3.011 | 80.0 |
| 3 1 -1 | 2.975 | 100.0 |
| 4 0 -2 | 2.929 | 32.6 |
| 0 0 6 | 2.429 | 21.4 |
| 3 1 -5 | 2.395 | 27.2 |
| 0 2 0 | 2.310 | 37.0 |
| 2 2 -4 | 1.956 | 20.1 |
| 4 2 -2 | 1.815 | 29.4 |
| 7 1 -3 | 1.574 | 21.9 |

Structure:
Unit cell a=11.7252 b=4.6207 c=15.5272 alpha=90.00 beta=110.15 gamma=90.00
Space group C2/m (No. 12)
Asymmetric unit:
Ac1 0.0438 0.0000 0.2720 (multiplicity 4)
Ac2 0.1796 0.0000 0.5773 (multiplicity 4)
Ac3 0.1888 0.5000 0.1055 (multiplicity 4)
Ga1 0.0303 0.5000 0.4243 (multiplicity 4)
Ga2 0.0630 0.0000 0.9474 (multiplicity 4)
Ga3 0.1649 0.5000 0.7312 (multiplicity 4)
Cu1 0.0950 0.5000 0.8771 (multiplicity 4)

---

Ac2Ga6Cu3: theoretical powder X-ray diffraction pattern (Cu Ka), based on a PBE-relaxed structure.

Peak list (12 most intense, 2θ = 10–90°, low angle first)
| hkl | d (Å) | I_rel |
| --- | --- | --- |
| 1 1 0 | 3.939 | 14.8 |
| 2 0 0 | 3.411 | 11.2 |
| 1 1 1 | 2.869 | 100.0 |
| 2 0 1 | 2.645 | 12.4 |
| 2 1 0 | 2.579 | 18.8 |
| 3 0 0 | 2.274 | 36.9 |
| 2 1 1 | 2.196 | 33.2 |
| 0 0 2 | 2.094 | 18.8 |
| 2 2 1 | 1.783 | 21.8 |
| 2 1 2 | 1.626 | 9.4 |
| 3 0 2 | 1.541 | 21.6 |
| 4 1 1 | 1.403 | 32.7 |

Structure:
Unit cell a=7.8780 b=7.8780 c=4.1884 alpha=90.00 beta=90.00 gamma=120.00
Space group P-62m (No. 189)
Asymmetric unit:
Ac1 0.3333 0.6667 0.0000 (multiplicity 2)
Ga1 0.0000 0.3089 0.5000 (multiplicity 3)
Ga2 0.0000 0.8099 0.0000 (multiplicity 3)
Cu1 0.0000 0.6422 0.5000 (multiplicity 3)

---

AcGaCu: theoretical powder X-ray diffraction pattern (Cu Ka), based on a PBE-relaxed structure.

Peak list (12 most intense, 2θ = 10–90°, low angle first)
| hkl | d (Å) | I_rel |
| --- | --- | --- |
| 0 2 0 | 3.888 | 14.4 |
| 1 1 0 | 3.803 | 25.9 |
| 0 2 2 | 2.911 | 50.3 |
| 1 1 2 | 2.875 | 100.0 |
| 1 3 0 | 2.228 | 38.8 |
| 0 0 4 | 2.197 | 17.1 |
| 2 0 0 | 2.180 | 18.2 |
| 2 2 0 | 1.902 | 11.0 |
| 0 4 2 | 1.778 | 12.7 |
| 2 2 2 | 1.745 | 22.8 |
| 1 3 4 | 1.564 | 23.3 |
| 2 0 4 | 1.547 | 11.2 |

Structure:
Unit cell a=4.3599 b=7.7751 c=8.7863 alpha=90.00 beta=90.00 gamma=90.00
Space group Immm (No. 71)
Asymmetric unit:
Ac1 0.0000 0.0000 0.2349 (multiplicity 4)
Ga1 0.0000 0.3386 0.0000 (multiplicity 4)
Cu1 0.0000 0.3312 0.5000 (multiplicity 4)

----------

LuHgH: calculated powder diffractogram (Cu Ka), based on a DFT-relaxed cell (PBE, Alexandria).

Cell and atoms:
a = 6.8519 Å, b = 6.8519 Å, c = 6.8519 Å
α = 97.86°, β = 97.86°, γ = 97.86°
Atoms (fractional coordinates):
Lu 0.0947 0.6711 0.8379
Lu 0.1621 0.9053 0.3289
Lu 0.3289 0.1621 0.9053
Lu 0.6711 0.8379 0.0947
Lu 0.8379 0.0947 0.6711
Lu 0.9053 0.3289 0.1621
Hg 0.2087 0.3541 0.5427
Hg 0.3541 0.5427 0.2087
Hg 0.4573 0.7913 0.6459
Hg 0.5427 0.2087 0.3541
Hg 0.6459 0.4573 0.7913
Hg 0.7913 0.6459 0.4573
H 0.0470 0.2646 0.9110
H 0.0890 0.9530 0.7354
H 0.2646 0.9110 0.0470
H 0.7354 0.0890 0.9530
H 0.9110 0.0470 0.2646
H 0.9530 0.7354 0.0890

Top 8 peaks for 10° ≤ 2θ ≤ 80°, in order of falling intensity:
2theta	I/Imax
31.8	100.0
36.9	26.8
40.5	25.1
66.2	21.4
44.8	17.1
34.7	16.2
46.5	16.0
57.5	10.3

----------

Diffraction record for Ca2I4O13. The XRD peak list is theoretical, not measured: it uses a structure optimized by DFT (PBE) and a wavelength of 1.5418 Å.
Neutral-atom scattering factors, no anomalous dispersion.

Crystal structure
```
data_Ca2I4O13
_chemical_formula_sum 'Ca8 I16 O52'
_space_group_name_H-M_alt 'C 1 2/c 1'
_space_group_IT_number 15
_cell_length_a 12.9536
_cell_length_b 6.5425
_cell_length_c 16.9165
_cell_angle_alpha 90.00
_cell_angle_beta 104.57
_cell_angle_gamma 90.00
loop_
_space_group_symop_operation_xyz
'x,y,z'
'-x,-y,-z'
'-x,y,-z+1/2'